1st Edition

The Coloniality of Humanitarian Intervention

By Patrick J. Vernon Copyright 2024

    This book scrutinises the practice of humanitarian intervention to explore the extent to which racism and heteronormativity, rooted in colonial understandings of time and space, are enacted through the UK’s responses, failed responses and non-responses to atrocity crimes. Taking humanitarian intervention as its central focus, the book uses queer international relations scholarship to draw the ongoing coloniality of the Western state into stark relief.

    In particular, it highlights the ways in which dominant logics in these debates invoke subject-positions of extreme selfhood or otherness. These are identified as ‘The Brutal Dictator’, ‘The ISIL Terrorist’ and ‘The British Self’, framed as existing at various steps on ‘The Universal Path to Democracy’. In studying these extreme cultural figures of selfhood and/or otherness, the book examines the ways in which racism and heteronormativity work together to dehumanise certain populations under coloniality, and the ways in which this can be resisted. By studying the UK’s response to mass atrocities in Libya, Syria, Iraq and Myanmar between 2011 and 2018, it uncovers the extent to which these debates continue to operate through a colonial script. The book notably studies failed interventions (Syria) and non-interventions (Myanmar) as significant objects of study which, alongside the comments of UK legislators opposing the case for violence, help to expose the ongoing impact of colonial identities in the formulation of contemporary foreign policy. As well as looking at the British case, the book reflects upon changing norms of humanitarian intervention from the 1990s to the present day, including what might be understood as the rise and fall of R2P. The book also makes a distinct contribution to queer international relations scholarship, broadening what Vernon calls ‘the homonormative turn’ with a renewed focus on heteronormativity as a racist and globally-dominant episteme.

    Offering both a theoretically informed analysis of humanitarian intervention and a practical guide for possible strategies to resist future iterations of liberal violence, this book will appeal to scholars, students, policy-makers and NGOs interested in R2P/humanitarian intervention, queer/decolonial/feminist international relations, and British politics.

    1. Introduction

    Sexuality, Gender and the Civilising Mission

    Exploring the British Case

    Mapping the Study of Humanitarian Intervention


    2. Queering Humanitarian Intervention as Colonial Violence

    A Brief History of Humanitarian Intervention.

    Shifting Norms of Humanitarian Intervention

    Critical Readings of Humanitarian Intervention

    Queer IR and the Study of Humanitarian Intervention

    The ‘Homonormative Turn’ in Queer IR

    Heteronormativity, Racism and World Politics



    3. The Brutal Dictator: Targeting Families, Forming Evil Alliances

    Graphic and Heteronormative Discourses of Violence

    Discourses of Pathology and Perversion

    The Dictator’s Evil Alliances

    Resisting Self/Other Dichotomies



    4. The ISIL Terrorist: Islamophobia and the Battle for Survival

    ‘The Islamic Terrorist’ versus ‘The West’

    Securitising the Terrorist Threat

    Apportioning Responsibility to ‘The Muslim World’

    Saving Women, Children and Gays

    Resisting the Use of Force and the Category of ‘Terrorist’



    5. The British Self: Colonial Masculinity and the (Non)Use of Force

    British Values and the Fight for Freedom

### Records of crystals from another source follow
........
[1]
Computed X-ray diffraction stick pattern of TaS2 for λ = 1.5418 Å (Cu Kα), from a DFT-relaxed cell (GGA-PBE, Alexandria).
Peak positions follow from Bragg's law for the DFT cell and can differ from measured ones.

Atomic structure:
Lattice parameters (Å, degrees): 13.245 13.245 13.245 14.73 14.73 14.73
Element x y z (fractional)
1 Ta 0.082 0.082 0.082
2 Ta 0.918 0.918 0.918
3 S 0.213 0.213 0.213
4 S 0.376 0.376 0.376
5 S 0.624 0.624 0.624
6 S 0.787 0.787 0.787

Principal peaks in the range 2θ from 10° to 90°, by intensity:
two_theta  I_rel
13.52  100
34.42  43
30.47  25
42.90  19
55.93  16
53.99  15
39.69  14
50.19  11

[2]
Computed X-ray diffraction stick pattern of TbTa2S6 for λ = 1.5418 Å (Cu Kα), from a DFT-relaxed cell (GGA-PBE, Alexandria).
Peak positions follow from Bragg's law for the DFT cell and can differ from measured ones.

Atomic structure:
Lattice parameters (Å, degrees): 6.315 6.315 8.420 115.47 115.47 44.94
Element x y z (fractional)
1 Tb 0.000 0.000 0.000
2 Ta 0.190 0.190 0.579
3 Ta 0.810 0.810 0.421
4 S 0.020 0.020 0.690
5 S 0.308 0.308 0.401
6 S 0.350 0.350 0.887
7 S 0.650 0.650 0.113
8 S 0.692 0.692 0.599
9 S 0.980 0.980 0.310

Principal peaks in the range 2θ from 10° to 90°, by intensity:
two_theta  I_rel
20.31  100
25.14  89
29.49  89
15.68  79
45.44  78
11.88  67
37.25  64
28.24  58

[3]
Computed X-ray diffraction stick pattern of TbTa6S8 for λ = 1.5418 Å (Cu Kα), from a DFT-relaxed cell (GGA-PBE, Alexandria).
Peak positions follow from Bragg's law for the DFT cell and can differ from measured ones.

Atomic structure:
Lattice parameters (Å, degrees): 6.601 6.601 6.601 87.94 87.94 87.94
Element x y z (fractional)
1 Tb 0.000 0.000 0.000
2 Ta 0.202 0.555 0.409
3 Ta 0.409 0.202 0.555
4 Ta 0.445 0.591 0.798
5 Ta 0.555 0.409 0.202
6 Ta 0.591 0.798 0.445
7 Ta 0.798 0.445 0.591
8 S 0.132 0.389 0.758
9 S 0.230 0.230 0.230
10 S 0.242 0.868 0.611
11 S 0.389 0.758 0.132
12 S 0.611 0.242 0.868
13 S 0.758 0.132 0.389
14 S 0.770 0.770 0.770
15 S 0.868 0.611 0.242

Principal peaks in the range 2θ from 10° to 90°, by intensity:
two_theta  I_rel
13.43  100
33.49  73
30.75  58
45.79  57
41.73  50
42.93  40
39.73  35
22.53  31

[4]
Computed X-ray diffraction stick pattern of Ta2Te3S for λ = 1.5418 Å (Cu Kα), from a DFT-relaxed cell (GGA-PBE, Alexandria).
Peak positions follow from Bragg's law for the DFT cell and can differ from measured ones.

Atomic structure:
Lattice parameters (Å, degrees): 3.585 3.585 28.757 90.00 90.00 120.00
Element x y z (fractional)
1 Ta 0.000 0.000 0.000
2 Ta 0.000 0.000 0.484
3 Ta 0.667 0.333 0.241
4 Ta 0.667 0.333 0.742
5 Te 0.000 0.000 0.676
6 Te 0.000 0.000 0.807
7 Te 0.667 0.333 0.066
8 Te 0.667 0.333 0.418
9 Te 0.667 0.333 0.549
10 Te 0.667 0.333 0.935
11 S 0.000 0.000 0.189
12 S 0.000 0.000 0.293

Principal peaks in the range 2θ from 10° to 90°, by intensity:
two_theta  I_rel
34.41  100
12.31  68
42.86  41
28.75  39
50.94  31
62.93  18
85.11  15
74.80  12

[5]
........
### Here the piece continues

    Masculinist Logics of IR

Data records, as found in the file:
~~~
# 1
Simulated powder X-ray diffraction pattern of Na3Ni2P2C2O14 for Cu Kα X-rays, from a structure optimized by DFT (PBE+U).
Peak positions follow from Bragg's law for the DFT cell and can differ from measured ones.

Main lines, by angle (2θ from 10° to 90°):
16.82 deg, d = 5.270 Å, intensity 100; 19.61 deg, d = 4.528 Å, intensity 36; 20.06 deg, d = 4.426 Å, intensity 47; 22.01 deg, d = 4.038 Å, intensity 56; 24.34 deg, d = 3.657 Å, intensity 33; 25.88 deg, d = 3.443 Å, intensity 71; 27.48 deg, d = 3.246 Å, intensity 87; 34.00 deg, d = 2.637 Å, intensity 62; 34.26 deg, d = 2.618 Å, intensity 33; 34.78 deg, d = 2.579 Å, intensity 49; 37.68 deg, d = 2.387 Å, intensity 38; 56.74 deg, d = 1.622 Å, intensity 49

Unit cell a=10.271 b=6.493 c=10.322 alpha=90.00 beta=118.57 gamma=90.00
Space group Pc (No. 7)
Unique sites:
Na: 0.000 0.211 0.000 x2
Na: 0.502 0.265 0.508 x2
Na: 0.503 0.263 0.009 x2
Ni: 0.096 0.496 0.320 x2
Ni: 0.397 0.000 0.184 x2
P: 0.172 0.002 0.322 x2
P: 0.321 0.500 0.180 x2
C: 0.667 0.002 0.352 x2
C: 0.828 0.496 0.646 x2
O: 0.075 0.194 0.302 x2
O: 0.080 0.190 0.816 x2
O: 0.173 0.493 0.034 x2
O: 0.210 0.004 0.193 x2
O: 0.290 0.500 0.314 x2
O: 0.322 0.006 0.467 x2
O: 0.418 0.312 0.691 x2
O: 0.421 0.313 0.192 x2
O: 0.568 0.002 0.398 x2
O: 0.608 0.001 0.208 x2
O: 0.691 0.499 0.559 x2
O: 0.803 0.003 0.437 x2
O: 0.885 0.489 0.789 x2
O: 0.929 0.497 0.103 x2



# 2
Simulated powder X-ray diffraction pattern of Li3Co2Si2O8 for Cu Kα X-rays, from a structure optimized by DFT (PBE+U).
Peak positions follow from Bragg's law for the DFT cell and can differ from measured ones.

Main lines, by angle (2θ from 10° to 90°):
13.25 deg, d = 6.682 Å, intensity 100; 21.28 deg, d = 4.175 Å, intensity 80; 24.01 deg, d = 3.706 Å, intensity 16; 27.72 deg, d = 3.218 Å, intensity 12; 28.00 deg, d = 3.186 Å, intensity 55; 31.41 deg, d = 2.848 Å, intensity 14; 34.34 deg, d = 2.612 Å, intensity 70; 36.58 deg, d = 2.456 Å, intensity 12; 41.19 deg, d = 2.191 Å, intensity 17; 46.72 deg, d = 1.944 Å, intensity 15; 54.98 deg, d = 1.670 Å, intensity 16; 57.88 deg, d = 1.593 Å, intensity 15

Unit cell a=9.784 b=9.924 c=9.968 alpha=95.50 beta=116.09 gamma=115.98
Space group P1 (No. 1)
Unique sites:
Li: 0.000 0.000 0.000 x1
Li: 0.013 0.641 0.363 x1
Li: 0.141 0.524 0.646 x1
Li: 0.202 0.023 0.411 x1
Li: 0.253 0.328 0.931 x1
Li: 0.383 0.120 0.226 x1
Li: 0.491 0.971 0.507 x1
Li: 0.517 0.664 0.858 x1
Li: 0.628 0.519 0.139 x1
Li: 0.762 0.316 0.433 x1
Li: 0.816 0.605 0.971 x1
Li: 0.871 0.120 0.722 x1
Co: 0.001 0.222 0.278 x1
Co: 0.002 0.918 0.587 x1
Co: 0.006 0.722 0.777 x1
Co: 0.012 0.417 0.087 x1
Co: 0.503 0.222 0.775 x1
Co: 0.503 0.722 0.274 x1
Co: 0.508 0.923 0.083 x1
Co: 0.510 0.425 0.587 x1
Si: 0.179 0.787 0.146 x1
Si: 0.181 0.283 0.636 x1
Si: 0.323 0.854 0.713 x1
Si: 0.331 0.355 0.224 x1
Si: 0.682 0.287 0.141 x1
Si: 0.684 0.786 0.648 x1
Si: 0.832 0.361 0.726 x1
Si: 0.832 0.857 0.213 x1
O: 0.041 0.623 0.155 x1
O: 0.043 0.799 0.976 x1
O: 0.045 0.302 0.475 x1
~~~

    Humanitarian and Diplomatic Aims

    Resisting Depictions of British Benevolence



    6. The Universal Path to Democracy

    Democracy as the Telos of Civilisation

    The ‘Right’ Side of History

    Spatial Representations of Colonial Time

    The British Street versus The Arab Street

    The State of Nature

+++
Theoretical XRD peak list
Compound: Mg5Si9
Radiation: Cu Kα, 1.54184 Å
Structure: a cell relaxed with GGA-PBE
Intensities are scaled so that the largest is 1000.

The 12 most intense peaks (10 to 90 degrees two-theta), in order of falling intensity:
(0 2 -3), 2θ 35.74, rel. 1000; (2 0 -1), 2θ 31.62, rel. 968; (1 -2 0), 2θ 38.31, rel. 715; (2 -1 3), 2θ 41.42, rel. 652; (1 0 -4), 2θ 33.52, rel. 589; (1 1 -4), 2θ 33.78, rel. 567; (1 3 1), 2θ 39.72, rel. 553; (2 2 3), 2θ 34.21, rel. 526; (0 1 2), 2θ 19.86, rel. 466; (3 0 2), 2θ 44.77, rel. 455; (3 2 -1), 2θ 43.19, rel. 449; (0 1 -4), 2θ 31.06, rel. 431

Atomic structure:
a b c (Å): 6.875 6.910 13.280
angles (deg): 84.97 78.66 63.01
Space group P1 (No. 1)
Unique sites:
Mg: 0.000 0.000 0.000 x1
Mg: 0.002 0.420 0.956 x1
Mg: 0.109 0.739 0.803 x1
Mg: 0.271 0.873 0.339 x1
Mg: 0.339 0.214 0.472 x1
Mg: 0.506 0.744 0.849 x1
Mg: 0.514 0.228 0.869 x1
Mg: 0.753 0.411 0.259 x1
Mg: 0.799 0.305 0.504 x1
Mg: 0.929 0.476 0.683 x1
Si: 0.035 0.594 0.160 x1
Si: 0.089 0.052 0.635 x1
Si: 0.092 0.663 0.506 x1
Si: 0.186 0.132 0.790 x1
Si: 0.219 0.287 0.269 x1
Si: 0.225 0.043 0.145 x1
Si: 0.287 0.564 0.002 x1
Si: 0.377 0.731 0.556 x1
Si: 0.476 0.171 0.662 x1
Si: 0.519 0.490 0.693 x1
Si: 0.596 0.145 0.176 x1
Si: 0.629 0.415 0.062 x1
Si: 0.632 0.767 0.116 x1
Si: 0.646 0.714 0.410 x1
Si: 0.742 0.844 0.943 x1
Si: 0.829 0.940 0.411 x1
Si: 0.845 0.889 0.659 x1
Si: 0.946 0.931 0.229 x1

---

Theoretical XRD peak list
Compound: TiCuSeO5
Radiation: Cu Kα, 1.54184 Å
Structure: a cell relaxed with GGA-PBE
Intensities are scaled so that the largest is 1000.

The 12 most intense peaks (10 to 90 degrees two-theta), in order of falling intensity:
(2 0 -2), 2θ 27.05, rel. 1000; (1 1 1), 2θ 25.62, rel. 644; (1 3 -1), 2θ 36.71, rel. 503; (2 0 0), 2θ 26.70, rel. 382; (2 0 2), 2θ 46.94, rel. 309; (0 2 2), 2θ 35.19, rel. 275; (4 0 0), 2θ 55.01, rel. 260; (3 3 -3), 2θ 54.36, rel. 193; (4 2 -2), 2θ 53.24, rel. 189; (1 3 3), 2θ 61.03, rel. 171; (2 2 -2), 2θ 35.46, rel. 161; (0 2 1), 2θ 26.19, rel. 150

Atomic structure:
a b c (Å): 7.639 7.906 7.650
angles (deg): 90.00 119.15 90.00
Space group C2/c (No. 15)
Unique sites:
Ti: 0.250 0.250 0.000 x4
Cu: 0.000 0.021 0.250 x4
Se: 0.000 0.408 0.250 x4
O: 0.000 0.235 0.750 x4
O: 0.092 0.253 0.156 x8
O: 0.247 0.003 0.003 x8

---

Theoretical XRD peak list
Compound: NaTlOsCl6
Radiation: Cu Kα, 1.54184 Å
Structure: a cell relaxed with GGA-PBE
Intensities are scaled so that the largest is 1000.

The 12 most intense peaks (10 to 90 degrees two-theta), in order of falling intensity:
(1 0 1), 2θ 19.99, rel. 1000; (2 -1 2), 2θ 37.58, rel. 414; (1 0 0), 2θ 14.84, rel. 296; (3 -1 1), 2θ 42.30, rel. 286; (2 0 1), 2θ 32.89, rel. 245; (1 1 0), 2θ 25.86, rel. 218; (3 0 0), 2θ 45.60, rel. 146; (3 1 1), 2θ 57.36, rel. 128; (2 1 3), 2θ 58.35, rel. 127; (1 0 3), 2θ 43.53, rel. 106; (2 0 3), 2θ 51.33, rel. 100; (2 2 2), 2θ 60.52, rel. 94

Atomic structure:
a b c (Å): 6.8918 6.8918 6.6533
angles (deg): 90.00 90.00 120.00
+++
End of the records of crystals



    7. Conclusion

    Brutal Britannia: The Ongoing Coloniality of the British State

    Cultural Figures of Normality and/or Perversion (Weber, 2016)

    Closing Reflections


    Patrick J. Vernon is a Lecturer in Gender and War Studies in the Department of War Studies at King’s College London, UK. Their research studies the role of gendered, sexual and racialised representations in discourses and practices of security. They are particularly interested in the study of political violence from the micro to the global level, having researched topics including online abuse, hostile media representations of minoritised groups, genocide and humanitarian intervention. Patrick has published in journals including Millennium, International Studies Review, International Political Sociology and The British Journal of Politics and International Relations.